Activity =
Please return all of the notes further below unchanged.

Entries =
+++
C28H57NO9P | wB97M-V/def2-TZVPD

Each line ends with the Mulliken spin population.
Atoms and positions in Å:
C 3.457 -1.783 3.582  0.000
O 4.230 -1.496 2.434  0.000
C 3.603 -1.906 1.231  0.000
C 2.396 -1.037 0.856  0.000
C 2.856 0.396 0.662  0.000
C 1.740 1.458 0.601  0.000
C 0.467 1.095 1.364  0.000
C -0.306 2.310 1.887  0.000
C -1.296 1.850 2.981  0.000
C -2.773 1.862 2.515  0.000
C -3.611 0.687 3.037  0.002
C -3.541 -0.626 2.241  -0.014
C -2.195 -1.374 2.370  0.015
P -1.562 -1.804 4.013  0.000
O -0.303 -1.142 4.341  0.001
O -1.300 -3.391 4.052  0.000
O -2.682 -1.593 5.129  0.000
C -3.735 -0.347 0.725  0.010
C -4.490 -1.416 -0.081  0.034
C -3.786 -1.530 -1.432  0.006
C -5.908 -0.923 -0.378  0.031
N -4.448 -2.765 0.549  0.302
O -5.098 -3.615 -0.179  0.587
C -4.931 -2.816 1.971  0.022
C -4.122 -3.921 2.701  0.014
C -6.397 -3.228 2.094  0.014
C -4.755 -1.472 2.686  0.010
H 2.533 -1.213 3.638  0.000
H 3.263 -2.856 3.630  0.000
H 4.046 -1.505 4.447  0.000
H 3.312 -2.953 1.347  0.000
H 4.340 -1.791 0.442  0.000
H 1.975 -1.462 -0.051  0.000
H 1.676 -1.160 1.657  0.000
H 3.594 0.695 1.394  0.000
H 3.362 0.423 -0.299  0.000
H 1.519 1.754 -0.417  0.000
H 2.127 2.359 1.071  0.000
H -0.177 0.503 0.716  0.000
H 0.754 0.546 2.249  0.000
H 0.414 2.970 2.355  0.000
H -0.821 2.822 1.082  0.000
H -1.019 0.881 3.370  0.000
H -1.219 2.542 3.813  0.000
H -2.806 1.979 1.437  0.000
H -3.219 2.765 2.920  0.000
H -4.653 0.997 2.999  0.001
H -3.376 0.562 4.091  -0.001
H -2.218 -2.299 1.808  -0.013
H -1.426 -0.763 1.919  0.001
H -0.355 -3.496 3.839  0.000
H -2.421 -2.160 5.879  0.000
H -2.732 -0.285 0.312  0.001
H -4.175 0.630 0.578  -0.002
H -4.338 -2.198 -2.082  0.000
H -2.790 -1.944 -1.323  -0.010
H -3.781 -0.552 -1.903  0.001
H -6.431 -1.603 -1.037  -0.003
H -6.485 -0.763 0.521  -0.005
H -5.831 0.028 -0.889  0.000
H -4.712 -4.821 2.792  -0.006
H -3.835 -3.611 3.694  0.001
H -3.258 -4.202 2.116  0.003
H -7.051 -2.671 1.433  0.004
H -6.685 -3.028 3.122  0.000
H -6.541 -4.279 1.893  -0.005
H -4.726 -1.674 3.751  0.003
H -5.616 -0.833 2.525  -0.003
O 2.585 1.545 -2.716  0.000
C 2.365 2.413 -3.517  0.000
O 2.814 3.659 -3.258  0.000
C 2.769 4.721 -4.213  0.000
C 1.429 5.427 -4.211  0.000
C 1.547 2.163 -4.761  0.000
H 3.047 4.360 -5.204  0.000
H 3.549 5.416 -3.903  0.000
H 0.621 4.755 -4.500  0.000
H 1.440 6.269 -4.904  0.000
H 1.201 5.798 -3.212  0.000
H 0.487 2.227 -4.518  0.000
H 1.774 1.161 -5.115  0.000
H 1.771 2.844 -5.577  0.000
O 4.460 1.189 -6.284  0.000
C 5.439 1.024 -5.605  0.000
O 5.891 -0.226 -5.411  0.000
C 7.126 -0.525 -4.755  0.000
C 6.967 -0.569 -3.249  0.000
C 6.112 2.180 -4.900  0.000
H 7.908 0.168 -5.070  0.000
H 7.413 -1.508 -5.123  0.000
H 6.661 0.396 -2.846  0.000
H 7.906 -0.857 -2.775  0.000
H 6.199 -1.292 -2.973  0.000
H 5.575 2.382 -3.973  0.000
H 6.049 3.053 -5.544  0.000
H 7.164 2.017 -4.677  0.000

Cartesian forces (eV/Å) of the 3 atoms listed first:
C 0.4 0.1 -0.1
O 0.0 0.1 0.0
C -0.3 0.4 0.1

## Properties
Total charge: 0
Relative energy (zero: lowest compared OMol25 entry of this formula, charge and spin) (eV): 0.531
Spin multiplicity: 2
Kohn-Sham gap (alpha / beta) (eV): 9.2 / 9.4

C3H5N3 | wB97M-V/def2-TZVPD

Each line ends with the Löwdin charge.
Atoms and positions in Å:
N -0.886 -1.736 0.746  0.069
C -0.601 -0.452 0.877  -0.219
C 1.955 0.399 0.115  0.036
N 1.162 1.207 -0.575  -0.087
C -0.243 1.216 -0.701  -0.199
N -0.974 0.385 -0.074  0.038
H -1.252 -2.149 -0.099  0.101
H -0.701 -2.366 1.508  0.091
H 1.402 -0.516 0.334  -0.048
H 1.594 2.038 -0.954  0.104
H -0.670 2.041 -1.268  0.116

Cartesian forces (eV/Å) of the 3 atoms listed first:
N 0.1 0.0 0.0
C -0.2 0.1 0.3
C 0.1 0.3 -0.5

## Properties
Total charge: 0
Relative energy (zero: lowest compared OMol25 entry of this formula, charge and spin) (eV): 4.250
Kohn-Sham gap (eV): 8.6

C32H33OSi | wB97M-V/def2-TZVPD

Each line ends with the Löwdin charge.
Atoms and positions in Å:
C 3.408 1.130 -1.316  -0.155
Si 1.742 1.917 -1.662  0.566
C 1.318 3.084 -0.269  -0.139
+++

Reply =
C28H57NO9P | wB97M-V/def2-TZVPD

Each line ends with the Mulliken spin population.
Atoms and positions in Å:
C 3.457 -1.783 3.582  0.000
O 4.230 -1.496 2.434  0.000
C 3.603 -1.906 1.231  0.000
C 2.396 -1.037 0.856  0.000
C 2.856 0.396 0.662  0.000
C 1.740 1.458 0.601  0.000
C 0.467 1.095 1.364  0.000
C -0.306 2.310 1.887  0.000
C -1.296 1.850 2.981  0.000
C -2.773 1.862 2.515  0.000
C -3.611 0.687 3.037  0.002
C -3.541 -0.626 2.241  -0.014
C -2.195 -1.374 2.370  0.015
P -1.562 -1.804 4.013  0.000
O -0.303 -1.142 4.341  0.001
O -1.300 -3.391 4.052  0.000
O -2.682 -1.593 5.129  0.000
C -3.735 -0.347 0.725  0.010
C -4.490 -1.416 -0.081  0.034
C -3.786 -1.530 -1.432  0.006
C -5.908 -0.923 -0.378  0.031
N -4.448 -2.765 0.549  0.302
O -5.098 -3.615 -0.179  0.587
C -4.931 -2.816 1.971  0.022
C -4.122 -3.921 2.701  0.014
C -6.397 -3.228 2.094  0.014
C -4.755 -1.472 2.686  0.010
H 2.533 -1.213 3.638  0.000
H 3.263 -2.856 3.630  0.000
H 4.046 -1.505 4.447  0.000
H 3.312 -2.953 1.347  0.000
H 4.340 -1.791 0.442  0.000
H 1.975 -1.462 -0.051  0.000
H 1.676 -1.160 1.657  0.000
H 3.594 0.695 1.394  0.000
H 3.362 0.423 -0.299  0.000
H 1.519 1.754 -0.417  0.000
H 2.127 2.359 1.071  0.000
H -0.177 0.503 0.716  0.000
H 0.754 0.546 2.249  0.000
H 0.414 2.970 2.355  0.000
H -0.821 2.822 1.082  0.000
H -1.019 0.881 3.370  0.000
H -1.219 2.542 3.813  0.000
H -2.806 1.979 1.437  0.000
H -3.219 2.765 2.920  0.000
H -4.653 0.997 2.999  0.001
H -3.376 0.562 4.091  -0.001
H -2.218 -2.299 1.808  -0.013
H -1.426 -0.763 1.919  0.001
H -0.355 -3.496 3.839  0.000
H -2.421 -2.160 5.879  0.000
H -2.732 -0.285 0.312  0.001
H -4.175 0.630 0.578  -0.002
H -4.338 -2.198 -2.082  0.000
H -2.790 -1.944 -1.323  -0.010
H -3.781 -0.552 -1.903  0.001
H -6.431 -1.603 -1.037  -0.003
H -6.485 -0.763 0.521  -0.005
H -5.831 0.028 -0.889  0.000
H -4.712 -4.821 2.792  -0.006
H -3.835 -3.611 3.694  0.001
H -3.258 -4.202 2.116  0.003
H -7.051 -2.671 1.433  0.004
H -6.685 -3.028 3.122  0.000
H -6.541 -4.279 1.893  -0.005
H -4.726 -1.674 3.751  0.003
H -5.616 -0.833 2.525  -0.003
O 2.585 1.545 -2.716  0.000
C 2.365 2.413 -3.517  0.000
O 2.814 3.659 -3.258  0.000
C 2.769 4.721 -4.213  0.000
C 1.429 5.427 -4.211  0.000
C 1.547 2.163 -4.761  0.000
H 3.047 4.360 -5.204  0.000
H 3.549 5.416 -3.903  0.000
H 0.621 4.755 -4.500  0.000
H 1.440 6.269 -4.904  0.000
H 1.201 5.798 -3.212  0.000
H 0.487 2.227 -4.518  0.000
H 1.774 1.161 -5.115  0.000
H 1.771 2.844 -5.577  0.000
O 4.460 1.189 -6.284  0.000
C 5.439 1.024 -5.605  0.000
O 5.891 -0.226 -5.411  0.000
C 7.126 -0.525 -4.755  0.000
C 6.967 -0.569 -3.249  0.000
C 6.112 2.180 -4.900  0.000
H 7.908 0.168 -5.070  0.000
H 7.413 -1.508 -5.123  0.000
H 6.661 0.396 -2.846  0.000
H 7.906 -0.857 -2.775  0.000
H 6.199 -1.292 -2.973  0.000
H 5.575 2.382 -3.973  0.000
H 6.049 3.053 -5.544  0.000
H 7.164 2.017 -4.677  0.000

Cartesian forces (eV/Å) of the 3 atoms listed first:
C 0.4 0.1 -0.1
O 0.0 0.1 0.0
C -0.3 0.4 0.1

## Properties
Total charge: 0
Relative energy (zero: lowest compared OMol25 entry of this formula, charge and spin) (eV): 0.531
Spin multiplicity: 2
Kohn-Sham gap (alpha / beta) (eV): 9.2 / 9.4

C3H5N3 | wB97M-V/def2-TZVPD

Each line ends with the Löwdin charge.
Atoms and positions in Å:
N -0.886 -1.736 0.746  0.069
C -0.601 -0.452 0.877  -0.219
C 1.955 0.399 0.115  0.036
N 1.162 1.207 -0.575  -0.087
C -0.243 1.216 -0.701  -0.199
N -0.974 0.385 -0.074  0.038
H -1.252 -2.149 -0.099  0.101
H -0.701 -2.366 1.508  0.091
H 1.402 -0.516 0.334  -0.048
H 1.594 2.038 -0.954  0.104
H -0.670 2.041 -1.268  0.116

Cartesian forces (eV/Å) of the 3 atoms listed first:
N 0.1 0.0 0.0
C -0.2 0.1 0.3
C 0.1 0.3 -0.5

## Properties
Total charge: 0
Relative energy (zero: lowest compared OMol25 entry of this formula, charge and spin) (eV): 4.250
Kohn-Sham gap (eV): 8.6

C32H33OSi | wB97M-V/def2-TZVPD

Each line ends with the Löwdin charge.
Atoms and positions in Å:
C 3.408 1.130 -1.316  -0.155
Si 1.742 1.917 -1.662  0.566
C 1.318 3.084 -0.269  -0.139